Brief:
Restate the part of the lines further down that starts with the line with "0.536" and stops after the one with "Co2 Sn1'".

Input:
No. 1
# Na3ZrScSiP2O12, optimized geometry, DFT GGA-PBE
data_Na3ZrScSiP2O12
_chemical_formula_sum 'Na36 Zr12 Sc12 Si12 P24 O144'
_symmetry_space_group_name_H-M 'C 1 c 1'
_symmetry_Int_Tables_number 9
_cell_length_a 15.760
_cell_length_b 9.078
_cell_length_c 22.827
_cell_angle_alpha 90.00
_cell_angle_beta 90.01
_cell_angle_gamma 90.00
loop_
_symmetry_equiv_pos_as_xyz
'x,y,z'
'x,-y,z+1/2'
'x+1/2,y+1/2,z'
'x+1/2,-y+1/2,z+1/2'
loop_
_atom_site_label
_atom_site_type_symbol
_atom_site_fract_x
_atom_site_fract_y
_atom_site_fract_z
_atom_site_occupancy
Na1 Na 0.000 0.001 0.000 1
Na2 Na 0.004 0.362 0.251 1
Na3 Na 0.159 0.191 0.088 1
Na4 Na 0.167 0.491 0.667 1
Na5 Na 0.169 0.137 0.416 1
Na6 Na 0.321 0.310 0.252 1
Na7 Na 0.334 0.004 0.334 1
Na8 Na 0.335 0.370 0.584 1
Na9 Na 0.354 0.324 0.922 1
Zr1 Zr 0.006 0.007 0.652 1
Zr2 Zr 0.172 0.499 0.319 1
Zr3 Zr 0.343 0.001 0.485 1
Sc1 Sc 0.006 0.007 0.855 1
Sc2 Sc 0.172 0.499 0.521 1
Sc3 Sc 0.332 0.004 0.188 1
Si1 Si 0.152 0.145 0.255 1
Si2 Si 0.320 0.353 0.421 1
Si3 Si 0.337 0.298 0.087 1
P1 P 0.004 0.296 0.754 1
P2 P 0.025 0.353 0.420 1
P3 P 0.170 0.205 0.923 1
P4 P 0.192 0.147 0.586 1
P5 P 0.359 0.352 0.754 1
P6 P 0.486 0.146 0.590 1
O1 O 0.015 0.184 0.415 1
O2 O 0.016 0.197 0.699 1
O3 O 0.064 0.420 0.363 1
O4 O 0.074 0.416 0.082 1
O5 O 0.082 0.386 0.472 1
O6 O 0.083 0.395 0.759 1
O7 O 0.092 0.118 0.197 1
O8 O 0.095 0.099 0.916 1
O9 O 0.105 0.067 0.592 1
O10 O 0.106 0.083 0.313 1
O11 O 0.158 0.329 0.258 1
O12 O 0.159 0.297 0.978 1
O13 O 0.183 0.314 0.580 1
O14 O 0.184 0.308 0.869 1
O15 O 0.233 0.077 0.530 1
O16 O 0.249 0.083 0.251 1
O17 O 0.250 0.119 0.639 1
O18 O 0.251 0.400 0.083 1
O19 O 0.253 0.110 0.926 1
O20 O 0.259 0.383 0.363 1
O21 O 0.270 0.427 0.759 1
O22 O 0.275 0.425 0.479 1
O23 O 0.322 0.172 0.425 1
O24 O 0.323 0.193 0.144 1
O25 O 0.349 0.194 0.028 1
O26 O 0.354 0.185 0.747 1
O27 O 0.400 0.426 0.699 1
O28 O 0.411 0.437 0.415 1
O29 O 0.413 0.383 0.809 1
O30 O 0.419 0.410 0.091 1
O31 O 0.426 0.103 0.248 1
O32 O 0.426 0.118 0.536 1
O33 O 0.434 0.081 0.925 1
O34 O 0.444 0.086 0.645 1
O35 O 0.488 0.304 0.307 1
O36 O 0.492 0.318 0.593 1
# - Energy: -7.40 eV/atom
# - E above lowest polymorph: 0.06 eV per formula unit
# - Magnetization: 0.0 μB per formula unit

No. 2
# Mg3Au, optimized geometry, DFT GGA-PBE
data_Mg3Au
_chemical_formula_sum 'Mg18 Au6'
_symmetry_space_group_name_H-M 'P 63 c m'
_symmetry_Int_Tables_number 185
_symmetry_space_group_name_Hall 'P 6c -2'
_cell_length_a 8.1218
_cell_length_b 8.1218
_cell_length_c 8.5849
_cell_angle_alpha 90.00
_cell_angle_beta 90.00
_cell_angle_gamma 120.00
loop_
_atom_site_label
_atom_site_type_symbol
_atom_site_fract_x
_atom_site_fract_y
_atom_site_fract_z
_atom_site_occupancy
Mg1 Mg 0.0000 0.0000 0.0000 1
Mg2 Mg 0.0000 0.2803 0.2580 1
Mg3 Mg 0.0000 0.3751 0.6013 1
Mg4 Mg 0.3333 0.6667 0.3822 1
Au1 Au 0.0000 0.3283 0.9300 1
# - Energy: -2.43 eV/atom
# - E above lowest polymorph: 0.00 eV per formula unit

No. 3
# TiCo2Sn, optimized geometry, DFT GGA-PBE
data_TiCo2Sn
_chemical_formula_sum 'Ti1 Co2 Sn1'
_symmetry_space_group_name_H-M 'P 4/m m m'
_symmetry_Int_Tables_number 123
_symmetry_space_group_name_Hall '-P 4 2'
_cell_length_a 3.117
_cell_length_b 3.117
_cell_length_c 5.870
_cell_angle_alpha 90.00
_cell_angle_beta 90.00
_cell_angle_gamma 90.00
loop_
_atom_site_label
_atom_site_type_symbol
_atom_site_fract_x
_atom_site_fract_y
_atom_site_fract_z
_atom_site_occupancy
Ti1 Ti 0.000 0.000 0.000 1
Co1 Co 0.500 0.500 0.231 1
Sn1 Sn 0.000 0.000 0.500 1
# - Energy: -6.77 eV/atom
# - Magnetization: 1.6 μB per formula unit

No. 4
# SmAl5, optimized geometry, DFT GGA-PBE
data_SmAl5
_chemical_formula_sum 'Sm4 Al20'
_symmetry_space_group_name_H-M 'P 63 2 2'
_symmetry_Int_Tables_number 182
_symmetry_space_group_name_Hall 'P 6c 2c'
_cell_length_a 5.4484
_cell_length_b 5.4484
_cell_length_c 17.8551
_cell_angle_alpha 90.00
_cell_angle_beta 90.00
_cell_angle_gamma 120.00
loop_
_atom_site_label
_atom_site_type_symbol
_atom_site_fract_x
_atom_site_fract_y

Outcome:
O32 O 0.426 0.118 0.536 1
O33 O 0.434 0.081 0.925 1
O34 O 0.444 0.086 0.645 1
O35 O 0.488 0.304 0.307 1
O36 O 0.492 0.318 0.593 1
# - Energy: -7.40 eV/atom
# - E above lowest polymorph: 0.06 eV per formula unit
# - Magnetization: 0.0 μB per formula unit

No. 2
# Mg3Au, optimized geometry, DFT GGA-PBE
data_Mg3Au
_chemical_formula_sum 'Mg18 Au6'
_symmetry_space_group_name_H-M 'P 63 c m'
_symmetry_Int_Tables_number 185
_symmetry_space_group_name_Hall 'P 6c -2'
_cell_length_a 8.1218
_cell_length_b 8.1218
_cell_length_c 8.5849
_cell_angle_alpha 90.00
_cell_angle_beta 90.00
_cell_angle_gamma 120.00
loop_
_atom_site_label
_atom_site_type_symbol
_atom_site_fract_x
_atom_site_fract_y
_atom_site_fract_z
_atom_site_occupancy
Mg1 Mg 0.0000 0.0000 0.0000 1
Mg2 Mg 0.0000 0.2803 0.2580 1
Mg3 Mg 0.0000 0.3751 0.6013 1
Mg4 Mg 0.3333 0.6667 0.3822 1
Au1 Au 0.0000 0.3283 0.9300 1
# - Energy: -2.43 eV/atom
# - E above lowest polymorph: 0.00 eV per formula unit

No. 3
# TiCo2Sn, optimized geometry, DFT GGA-PBE
data_TiCo2Sn
_chemical_formula_sum 'Ti1 Co2 Sn1'